Friday, April 6, 2007

Good Friday Musings

Several years back, I began a discipline of praying the four-fold Daily Office from the Book of Common Prayer. Of course, my family thought I was nuts, and they may be right. Over time, the busy-ness took hold, and noontime prayer went away, then evening prayer, and then morning prayer as well. But since 2001, I have continued to pray Compline each night. The office of Compline is a beautiful one to me. The language is poetic, and it is how I place myself into the arms of God each night before I go to sleep. I am terrible at memorization, but I was so pleased when I found that the nightly repetition had engraved the words in my brain. Now, when I turn out the light and settle myself in my bed, I close my eyes and begin to pray Compline, and peace washes over me. (Funny part: my brain automatically starts saying Compline whenever I lie down, even if I'm taking a nap at 2pm!)

There was one line that always used to give me a hard time, though, and it's a line that comes up today, Good Friday.

Into your hands, O Lord, I commend my spirit.

Between two parts of the page: crystal structures >
/*
Density functional theory data (PBE) for a geometry-optimized Tb4SmEr10 structure.

a b c (Å): 7.641 9.363 9.363
angles (deg): 80.41 65.92 65.92
Element x y z (fractional)
Er1 0.250 0.500 0.500
Er2 0.750 0.500 0.500
Er3 0.849 0.699 0.101
Er4 0.649 0.301 0.899
Er5 0.151 0.301 0.899
Er6 0.050 0.101 0.301
Tb1 0.400 0.800 0.400
Tb2 0.800 0.600 0.800
Tb3 0.200 0.400 0.200
Er7 0.548 0.101 0.301
Sm1 0.000 0.000 0.000
Tb4 0.600 0.200 0.600
Er8 0.452 0.899 0.699
Er9 0.950 0.899 0.699
Er10 0.351 0.699 0.101

Calculated values
Magnetization (μB/cell): 0.000
Calculated formation energy (eV per atom): 0.74
Fermi-level density of states (states/eV/cell): 17.98
SG: I4/m
*/
Back to the page >

These were very hard words for me to say. Because, you know what? I rather like my spirit, and I'd like to hold on to it, thankyouverymuch. The first time I came to them, I balked. I fell silent, with my prayer book open, and fought hard against them. I didn't want to commend my spirit into anybody's hands, even God's. I also knew, at the same time, that when I balk at a phrase like that, in worship there, that I have a rich opportunity. Not that I always appreciate being faced with a rich opportunity, especially when it would be so much easier to just close the prayer book and go to bed, but once I recognized that it was there, I knew it would not let me rest. So I gritted my teeth and said the words, even though I did not agree wholeheartedly with them.

And this is okay. More than once I've had doubts or questions about words I say in worship. "I believe in the resurrection of the dead, and the life of the world to come." Do I? What on earth could that possibly mean? How could the Incarnation have possibly come to be, much less the Resurrection? And now, I'm supposed to give up my spirit? I don't THINK so!

Well, grace happened, as grace does. Somehow, I came to peace with those words. I came to realize that God knows I don't want to turn over my spirit, and I think God loves us for this. God created each and every one of us to be unique and marvelous and wonderful, and though God yearns for us to be with God, I believe that God also delights and rejoices in us as we are, here and now. But in saying the words, night after night, I come to terms that I am not in control of everything, and that I don't have to be in control of it. God is there, and God is good, and if I can place myself into God's loving, delighted, rejoicing hands, then I will find that all will be well, and I will sleep in peace.

One aspect of the Daily Office is the repetition of the most wonderful book in the bible, the Psalms. Every emotion ever felt by a human being appears in the psalms, in one form or another. Anger, frustration, vengeance, love, delight, joy - it's all there. And I've been coming to the increasing conclusion (as my lenten fast from harsh language becomes less and less sustainable) that the psalmist probably cussed a lot more than the current translations let on. I mean, how much of a leap is it from "How long, O Lord, how long?" to "Okay, so just exactly how the hell long are you going to keep me waiting, God?" Or from "O God, my God, why have you forsaken me?" to "O God, why the f**k have you forsaken me?" Because, let's be honest, when you're really feeling that stuff, sometimes we really need the grit and the darkness.

I remember once telling my confessor (and I've probably blogged this before) that I just wanted god to F off and leave me the hell alone. I was sure he was going to break out the holy water and start an exorcism on the spot, but he didn't. He smiled gently and said, "That sounds like a very authentic prayer," and then talked about God and humans and authenticity. Because, when it comes down to it, if there's nobody else in the universe who can handle my authentic self, I know God can. God knows all about my authentic self, from the dark corners to the cobwebs to the parts I try to hide from everybody. And God loves my authentic self. God hungers for my authentic self. God delights in my authentic self. So the message was, don't be afraid to tell God exactly what I really think. Why would God want to hear praise that I don't really feel? Do you want to hear praise that you know is insincere? It's insulting! So why insult God? Or, perhaps I should say, why the f**k should I insult God?

Have a blessed Good Friday. Today, there is darkness and death. Tomorrow, there is loneliness and sorrow. But the next day... on the next day is the light, and the life, and the Feast. On the next day is the rock that has been moved, the empty clothes, the angel, the strange man in the garden. In the meantime,

********
Record 1
First-principles (PBE-GGA) data for AlHgAs2 after structural relaxation, as listed in Alexandria.

abc: 3.7297 3.7957 12.4091
angles: 90.00 90.00 90.00
Space group Imm2 (No. 44)
Unique sites:
Al (0.0000, 0.0000, 0.0000)
Hg (0.0000, 0.5000, 0.2727)
As (0.0000, 0.0000, 0.4661)
As (0.0000, 0.5000, 0.6468)

ΔE to the lowest computed polymorph = 196.4 meV per atom

***

Record 2
First-principles (PBE-GGA) data for AlHgAs4 after structural relaxation, as listed in Alexandria.

abc: 8.0258 8.0258 8.0258
angles: 90.00 90.00 90.00
Space group F-43m (No. 216)
Unique sites:
Al (0.0000, 0.0000, 0.0000)
Hg (0.2500, 0.2500, 0.2500)
As (0.1273, 0.1273, 0.6273)

***

Record 3
First-principles (PBE-GGA) data for AlHgAs2 after structural relaxation, as listed in Alexandria.

abc: 4.4376 3.8366 5.6312
angles: 90.00 109.66 90.00
Space group P2/m (No. 10)
Unique sites:
Al (0.0000, 0.0000, 0.0000)
Hg (0.5000, 0.0000, 0.5000)
As (0.2525, 0.5000, 0.8158)

ΔE to the lowest computed polymorph = 89.0 meV per atom

***

The records above give, respectively, N(E_F) values of 3.6 3.5 1.5 states/eV per cell.
The records above give, respectively, calculated volume values of 22.0 21.5 22.6 Å³ per atom.
The records above give, respectively, ΔH_f (0 K) values of 0.6 2.2 0.2 eV/f.u..

=====

1.
ErGaN after structural relaxation, computed with PBE.

a b c (Å): 3.3679 3.3679 9.8608
angles (deg): 99.83 99.83 90.00
With the nearest neighbours (Å) after each atom.
Positions (direct):
Er  0.3127  0.3127  0.6254  5 N 2.31-2.38
Ga  0.0752  0.0752  0.1504  1 N 2.24
N  0.8079  0.8079  0.6159  1 Ga 2.24, 5 Er 2.31-2.38
N  0.1920  0.1920  0.3841  1 Ga 2.24, 5 Er 2.31-2.38
Ga  0.9248  0.9248  0.8496  1 N 2.24
Er  0.6873  0.6873  0.3746  5 N 2.31-2.38

- Formation energy without anion corrections: -949 meV/atom
- Crystal system: tetragonal
- Magnetization: 0.00 μB per cell
- SG: I4/mmm (139)
- Electronic total energy: -37.526 eV per cell

=====

2.
KSe3S after structural relaxation, computed with PBE.

a b c (Å): 6.8536 5.5499 8.7561
angles (deg): 108.45 88.69 89.97
With the nearest neighbours (Å) after each atom.
Positions (direct):
K  0.4721  0.6326  0.6861  2 S 3.28, 4 Se 3.38-3.47
Se  0.9670  0.9899  0.4021  1 S 2.10
S  0.5633  0.0336  0.4883  1 Se 2.10
Se  0.4843  0.9117  0.2451  1 S 2.10
Se  0.9748  0.6527  0.7289  1 Se 2.32
S  0.8882  0.8679  0.1589  1 Se 2.10
Se  0.4496  0.3880  0.1978  1 Se 2.32
Se  0.4761  0.2488  0.9183  1 Se 2.32
Se  0.0019  0.5135  0.4495  1 Se 2.32
K  0.9788  0.2690  0.9611  2 S 3.28, 4 Se 3.38-3.47

- Formation energy without anion corrections: -338 meV/atom
- Crystal system: triclinic
- Magnetization: 0.00 μB per cell
- SG: P-1 (2)
- Electronic total energy: -34.736 eV per cell

=====

3.
TaTlMo after structural relaxation, computed with PBE.

a b c (Å): 7.1635 7.1635 7.1635
angles (deg): 156.74 156.74 33.13
With the nearest neighbours (Å) after each atom.
Positions (direct):
Ta  0.3398  0.3398  0.0000  4 Ta 2.89, 4 Mo 2.96, 4 Tl 3.16
********

Into your hands, O Lord, I commend my spirit.